John McCrea and Gerry Duggan are reviving their hit independent series, which started late 2019 and wrapped early last year. The second volume promises to be just as good, and to celebrate, both McCrea and Duggan are launching a special edition oversized hardcover of the original story with tonnes of bonus content at the end of this month.
Dead Eyes is a very strong, well crafted story by seasoned professionals. Duggan and McCrea offer a welcomed refreshing new twist on the crime and superhero genre. The character Martin Dobbs, a.k.a. DEAD EYES, brings a flair of Rorschach and The Question with him, with a hint of The Boys. Dead Eyes is a fine example of what some of the best artists and writers can do without the constraints of Marvel and DC. Dead Eyes starts fun, and tonally shifts to being dark and gritty with intelligent craft making the change a noticeable but natural progression.
McCrea’s second Kickstarter, this time with Gerry Duggan (Deadpool, Guardians of the Galaxy) will launch on Kickstarter on the 28th of April this year, here, and will give fans the opportunity to preorder a deluxe, oversized ‘artists edition’ of the original Dead Eyes volume 1. The book will contain the original story in its entirety, in addition to scripts, extra artwork, bonus behind the scenes content and much more. Dead Eyes will be displayed in a new black and white aesthetic, giving the book a new ‘noir’ feel to an already atmospheric tale. Also featured is completely uninterrupted art, with the panels pre-lettering presented to better allow for John’s art to be appreciated, with Gerry’s script accompanying the narrative to the side of the page. Fans will also be given the exclusive opportunity to commission artwork and purchase very limited copies of the book with unique sketches inside the cover. Don’t forget, the Kickstarter campaign can be found here, and it goes live on the 28th! Don’t miss out!
Copyright John McCrea.
“Deadeyes is the kind of brutal, uncompromising story with a humane heart that you’d expect from this seasoned team. The ‘Breaking Bad’ meets ‘Dick Turpin’ set-up is drawn with sustained energy and classy beats, and Deadeyes himself the kind of character that feels like he’s been around forever!” – Liam Sharpe (Wonder Woman with Greg Rucka, Green Lantern with Grant Morrison, Judge Dredd with John Wagner)
From the Dead Eyes Art Book, exclusively shown here by Soundsphere. Copyright John McCrea and Gerry Duggan.
(Data records, as found in the file)
********
Below is crystalline Tm4Ni13C4 at its relaxed geometry, with properties calculated at the PBE-GGA level.

a b c (Å): 11.6326 11.9299 3.8250
angles (deg): 90.00 90.00 90.00
Last column: nearest neighbours and their distance in Å.
Space group Cmmm (No. 65)
Symmetry-distinct sites (fractional):
Tm: 0.0000 0.1864 0.0000 x4  8 Ni 2.65-2.93
Tm: 0.1515 0.5000 0.0000 x4  5 Ni 2.61-2.89, 4 C 2.69
Ni: 0.0000 0.0000 0.5000 x2  8 Ni 2.40-2.49
Ni: 0.1070 0.3231 0.5000 x8  2 C 1.88-1.90
Ni: 0.1241 0.0000 0.0000 x4  6 Ni 2.40-2.41, 3 Tm 2.61-2.65
Ni: 0.1832 0.1080 0.5000 x8  1 C 1.86
Ni: 0.2500 0.2500 0.0000 x4  2 C 1.91
C: 0.0000 0.4432 0.5000 x4  1 C 1.36
C: 0.2500 0.2500 0.5000 x4  6 Ni 1.86-1.91

Final energy in hartree per atom: -0.2407


Below is crystalline TmNiC2 at its relaxed geometry, with properties calculated at the PBE-GGA level.

a b c (Å): 3.5056 4.5020 5.9629
angles (deg): 90.00 90.00 90.00
Last column: nearest neighbours and their distance in Å.
Space group Amm2 (No. 38)
Symmetry-distinct sites (fractional):
Tm: 0.0000 0.0000 0.0000 x2  8 C 2.59-2.64
Ni: 0.5000 0.0000 0.3889 x2  4 C 1.92-1.98
C: 0.5000 0.1528 0.7006 x4  1 C 1.38

Final energy in hartree per atom: -0.2766


Below is crystalline Tm11Ni60C6 at its relaxed geometry, with properties calculated at the PBE-GGA level.

a b c (Å): 12.3924 12.3924 12.3924
angles (deg): 90.00 90.00 90.00
Last column: nearest neighbours and their distance in Å.
Space group Im-3m (No. 229)
Symmetry-distinct sites (fractional):
Tm: 0.0000 0.0000 0.5000 x6  2 C 2.58
Tm: 0.1688 0.1688 0.1688 x16  15 Ni 2.81-2.98
Ni: 0.0000 0.0000 0.1435 x12  1 C 1.84
Ni: 0.0000 0.1481 0.3188 x48  1 C 1.87
Ni: 0.0000 0.2500 0.5000 x12  12 Ni 2.58-2.62
Ni: 0.0930 0.3259 0.3259 x48  7 Ni 2.31-2.49
C: 0.0000 0.0000 0.2921 x12  5 Ni 1.84-1.87

Final energy in hartree per atom: -0.2261


Below is crystalline U2NiC3 at its relaxed geometry, with properties calculated at the PBE-GGA level.

a b c (Å): 6.3844 3.5503 13.1479
angles (deg): 90.00 90.00 90.00
Last column: nearest neighbours and their distance in Å.
Space group Pnma (No. 62)
Symmetry-distinct sites (fractional):
U: 0.1261 0.2500 0.2095 x4  3 C 2.33-2.49
U: 0.2481 0.7500 0.9773 x4  6 C 2.34-2.50
Ni: 0.0082 0.2500 0.6518 x4  3 C 2.05-2.12
C: 0.0214 0.2500 0.9021 x4  1 C 1.46
C: 0.1049 0.7500 0.5900 x4  2 Ni 2.05
C: 0.1803 0.2500 0.8227 x4  1 C 1.46

Final energy in hartree per atom: -0.3490


Below is crystalline Ni2W4C at its relaxed geometry, with properties calculated at the PBE-GGA level.

a b c (Å): 11.3207 11.3207 11.3207
angles (deg): 90.00 90.00 90.00
Last column: nearest neighbours and their distance in Å.
Space group Fd-3m (No. 227, origin choice 2)
Symmetry-distinct sites (fractional):
Ni: 0.0415 0.0415 0.2085 x32  6 W 2.45-2.68, 3 Ni 2.67
W: 0.0000 0.0000 0.0000 x16  6 Ni 2.45
W: 0.0661 0.3750 0.8750 x48  2 C 2.14
C: 0.0000 0.0000 0.5000 x16  6 W 2.14
********
In case you missed it, the Mighty World of McCrea book is available to buy directly from John’s website here (paperback) and here (deluxe hardcover edition). Mighty World of McCrea includes creator-owned material, brand new, never before seen artwork, puzzles and even a review of a gig! Stories include such talent as Gerry Duggan, Garth Ennis, Phil Hester and obviously McCrea himself. One lucky Soundsphere reader will win a signed copy on our Facebook competition here. All you have to do is like Soundsphere’s page, like the post, tag a friend and tell us why you want to win! The lucky winner will be picked at random on the 14th of May. Don’t forget to click here to check it out!
The first chapter of Dead Eyes can be read for free here, giving you no excuse to not check out this bombastic, action filled, hilarious and violent series. The hardcover will be the ultimate collector’s item for any fan of John McCrea or Gerry Duggan, and with Dead Eyes volume 2 on the horizon, now is the perfect time to jump onto this zany bandwagon. Don’t miss out!
Words: Graeme Small